For a long moment, they did nothing but stare at each other. The longer she gazed at his reflection, the more the deep reds and shadows of the room reflected in the angles of his handsome face and the black clothes he wore, giving him a vampiric quality that sent a thrill rushing through her veins and dissolved the lingering humour that had bound them together in a way she had never expected.

She wanted him so badly...

Oh, why was she still resisting? Gabriel was her husband and she was his wife and that meant something.

Because you’re still frightened.

Gabriel’s confiding in her about his childhood and his parents’ divorce had helped Alessia understand him better but it hadn’t changed the deep-rooted instinct to protect herself. If anything it had made it stronger because sympathy and empathy had softened her even more towards him.

He took a step towards her.

A pulse throbbed deep in her pelvis.

The battle between her head, her heart and her body, between the princess and the woman, had been an impossible war to manage since they’d agreed to marry.

With each hour that passed, her longing for him grew stronger. When the lights went out, her weakness for him almost gobbled her up, and she would lay enveloped in his arms, breathing in his glorious scent, desire filling her from the roots of her hair to the tips of her toes, torturing herself; torturing them both because she could feel Gabriel’s suppressed desire as deeply as she felt her own, which only made things worse.

She was torturing them both.

He took another step closer.

Blood roared in her head.

One more step.

She blinked and there he was, right behind her, towering over her just like a vampire from the films.

The beats of her heart tripled in an instant.

Not an inch of his body touched hers but he stood close enough for her skin to tingle with sensation.

‘I don’t know about you,’ he murmured, ‘but I think we should knock through the adjoining room. Create another dressing room and double the size of the bathroom.’

It was only when Alessia snatched a breath to answer that she realised she’d been holding it. ‘That... Sorry, what did you say?’

His lips twitched but those amazing kaleidoscopic eyes didn’t leave hers. He placed his mouth to the back of her ear. ‘That we should double the size of our bathroom.’

His mouth didn’t make contact but his breath did. It danced through her hair and over her lobe, and then entered her skin like a pulse of electricity that almost knocked her off her feet.

His eyes glimmered. ‘Let’s see what delights the ground floor has for us.’ And then he turned and strolled out of the dressing room as if nothing had just passed between them.

It took a few beats for Alessia to pull her weak legs together.

Where she had to hold the banister to support her wobbly frame, Gabriel sauntered down the stairs with such nonchalance that she wondered if she’d just imagined the hooded pulse in his eyes and the sensuality in his voice.

And then he reached the bottom of the stairs and turned his gaze back to her, and she saw it again. His unashamed hunger for her.


LATERTHATEVENING, having showered and changed for dinner, Alessia found Gabriel in the dining room. The table had been set for their meal but he was sat at the other end surrounded by sheets of paper.

He looked up as she entered the room. His gaze flickered over her and she caught again that flash of desire as another smile that creased his eyes lit his handsome face.

The longing that had caught her in her grandmother’s dressing room flooded her limbs again, weakening them, and it took a beat before she could close the door and cross the room to stand beside him.

‘What are you doing?’ she asked, glad that her voice, at least, still sounded normal. The rest of her had felt decidedly abnormal since her grandmother’s dressing room, like electricity had replaced the blood in her veins. She’d been aware of every movement and every sensation her body made, from the lace knickers she’d pulled up her legs and over her thighs, to the lipstick she’d held between her fingers and applied to lips that tingled, to the perfume she’d dabbed to the pulses on her neck and wrists. Every whisper of sound she heard outside the bedroom had made her heart leap.

Someone pasted data records at this point.
____________
Record 1
Below is a cluster of 2 separate species, C6H14O in total, with properties calculated with ωB97M-V/def2-TZVPD.

XYZ file:
```
21
Properties=species:S:1:pos:R:3:mulliken_charge:R:1
C 0.795 -1.803 1.073 -1.01
C -0.103 -0.516 1.304 -0.57
C -1.029 -0.105 0.207 0.68
C -1.835 0.959 0.294 -1.16
C -0.829 -0.847 -1.107 -0.25
C -2.144 -1.234 -1.784 -1.08
H 0.226 -2.656 1.469 0.24
H 1.799 -1.719 1.547 0.36
H 1.113 -1.925 -0.063 0.28
H -0.572 -0.567 2.316 0.38
H 0.569 0.296 1.564 0.28
H -2.023 1.612 1.139 0.33
H -2.326 1.305 -0.611 0.28
H -0.276 -1.800 -1.171 0.11
H -0.240 -0.099 -1.771 0.25
H -3.135 -0.875 -1.343 0.34
H -2.217 -2.352 -1.714 0.34
H -2.079 -0.803 -2.914 0.19
H 3.094 3.360 0.312 0.33
H 4.267 3.048 -0.773 0.33
O 4.083 3.056 0.261 -0.67
```

gap between HOMO and LUMO: 9.57 eV
maximum force: 3.9 eV/Å
E: -8494.1928 eV

---

Record 2
Below is a cluster of 2 separate species, C6H14O2 in total, with properties calculated with ωB97M-V/def2-TZVPD.

XYZ file:
```
22
Properties=species:S:1:pos:R:3:mulliken_charge:R:1
O 0.517 -3.119 -2.374 -0.48
C 0.815 -1.931 -2.329 -0.07
C 0.069 -1.084 -1.336 -0.32
C 0.613 0.341 -1.237 -0.67
C -0.622 1.288 -0.948 0.76
C -0.112 2.579 -0.301 -1.38
C -1.729 0.657 -0.254 -1.46
H 1.226 -1.335 -3.140 0.29
H 0.177 -1.547 -0.244 0.27
H -0.911 -1.180 -1.552 0.21
H 1.303 0.355 -0.378 0.25
H 1.236 0.452 -2.192 0.41
H -1.001 1.546 -1.971 0.13
H 0.485 2.577 0.613 0.36
H -1.006 3.137 0.111 0.34
H 0.347 3.371 -1.022 0.30
H -2.510 1.454 0.008 0.37
H -2.185 -0.070 -0.861 0.37
H -1.139 0.296 0.592 0.32
H 0.933 -2.312 5.738 0.32
H 2.196 -3.043 6.464 0.34
O 1.298 -2.432 6.611 -0.66
```

gap between HOMO and LUMO: 10.47 eV
maximum force: 6.2 eV/Å
E: -10541.4847 eV

---

Record 3
Below is a cluster of 2 separate species, C6H14O2 in total, with properties calculated with ωB97M-V/def2-TZVPD.

XYZ file:
```
22
Properties=species:S:1:pos:R:3:mulliken_charge:R:1
C -0.810 1.575 -1.850 -0.24
O -1.177 3.043 -1.926 -0.48
C -0.310 1.071 -0.486 -0.97
C -1.387 0.873 0.617 -0.44
C -1.957 -0.432 0.769 -0.39
C -1.560 -2.937 0.974 -0.70
C -1.139 -1.647 1.119 -0.04
H -1.593 0.970 -2.275 0.30
H 0.149 1.284 -2.436 0.20
H -0.899 3.388 -1.056 0.34
H 0.369 0.155 -0.456 0.38
H 0.361 1.843 -0.040 0.35
H -0.931 1.375 1.470 0.38
H -2.069 1.853 0.294 0.17
H -2.834 -0.437 1.479 0.31
H -2.463 -0.747 -0.256 0.19
H -2.558 -3.371 0.367 0.21
H -0.914 -3.812 1.401 0.23
H -0.263 -1.423 1.856 0.22
H 6.873 -2.461 0.960 0.31
H 5.821 -1.535 1.225 0.32
O 6.669 -1.554 0.752 -0.63
```

gap between HOMO and LUMO: 10.31 eV
maximum force: 6.3 eV/Å
E: -10540.6738 eV

---

Record 4
Below is a cluster of 3 separate species, C6H14O2 in total, with properties calculated with ωB97M-V/def2-TZVPD.

XYZ file:
```
22
Properties=species:S:1:pos:R:3:mulliken_charge:R:1
C -0.701 1.619 1.912 -1.35
C -0.302 0.842 0.660 0.58
C 0.883 0.263 0.526 -0.01
C 1.973 0.451 1.549 -1.33
C -1.251 1.337 -1.555 -0.93
C -1.353 0.730 -0.388 -0.46
H -1.752 1.860 1.839 0.41
H -0.165 2.555 1.934 0.30
____________
Back to the article.

It was pounding now, as hard as she’d ever known it.